(Listing)
-- begin --
Entry from the Open Molecules 2025 dataset: C23H23LaOP2 as an isolated structure (the ωB97M-V functional and the def2-TZVPD basis).

Cartesian coordinates (Å):
C 0.141 1.065 -3.778
C -0.743 2.179 -3.800
C 0.011 3.365 -3.596
C 1.379 3.009 -3.469
C 1.491 1.600 -3.578
La 1.540 -1.480 -1.270
P 0.743 -4.335 -2.084
H -0.103 0.008 -3.926
H -1.817 2.106 -3.940
H -0.391 4.374 -3.541
H 2.420 1.025 -3.601
H 2.198 3.716 -3.314
H 1.394 -5.242 -2.975
H -0.530 -4.335 -2.758
H 0.398 -5.301 -1.084
O -0.457 -1.723 -0.366
P -0.419 -0.647 0.778
C 1.170 0.175 0.625
C 2.380 -0.588 0.807
C 3.533 -0.118 0.126
C 3.551 1.197 -0.367
C 2.403 1.980 -0.373
C 1.197 1.469 0.073
C -1.784 0.479 0.525
C -2.483 0.940 1.658
C -3.500 1.890 1.518
C -3.838 2.382 0.255
C -3.165 1.899 -0.875
C -2.154 0.952 -0.748
C -0.357 -1.476 2.361
C -0.759 -2.817 2.438
C -0.695 -3.492 3.655
C -0.187 -2.859 4.795
C 0.292 -1.548 4.701
C 0.183 -0.842 3.501
H 2.376 -1.543 1.356
H 4.409 -0.764 0.038
H 4.479 1.629 -0.739
H 2.415 2.992 -0.775
H 0.269 2.052 0.050
H -2.222 0.552 2.647
H -4.030 2.234 2.405
H -4.631 3.124 0.151
H -3.452 2.267 -1.859
H -1.650 0.573 -1.645
H -1.095 -3.329 1.533
H -1.037 -4.524 3.709
H -0.159 -3.387 5.750
H 0.755 -1.072 5.563
H 0.531 0.193 3.445

Atoms 1-6, force components in eV/Å:
1.2719 0.7130 0.4207
0.4649 -0.2509 0.3727
0.1222 -0.7639 0.0088
-0.2411 -0.3904 0.0348
-1.2876 -0.2010 -0.0936
1.7897 0.8046 -2.7214

Summary:
- DFT total energy (Eh) = -1679.5981
- HOMO-LUMO gap (alpha / beta) (eV) = 4.5143 / 4.6109
- energy above the lowest of the compared OMol25 structures with the same formula, charge and spin (kcal/mol) = 0.0
- lowest unoccupied orbital energy (alpha / beta) (eV) = -0.489 / -0.688
- HOMO (alpha / beta) (eV) = -5.0 / -5.3

Löwdin population analysis, charges in e, atoms 1 to 4: -0.231 -0.220 -0.178 -0.212

=====

Entry from the Open Molecules 2025 dataset: a 12-piece molecular cluster, C26H51Cl22I2N2O overall (the ωB97M-V functional and the def2-TZVPD basis).

Cartesian coordinates (Å):
C 2.869 2.764 0.159
C 1.788 2.283 -0.965
I 2.849 2.381 -2.913
C 0.575 3.351 -1.072
I -0.247 3.498 -3.130
N -0.520 3.189 -0.039
N -0.541 1.954 0.621
C -1.211 1.041 -0.096
O -1.487 0.232 -1.020
H 2.309 3.084 1.125
H 3.384 3.726 -0.243
H 3.640 1.918 0.355
H 1.472 1.187 -0.862
H 1.049 4.400 -0.889
H -1.451 3.280 -0.527
H -0.490 3.979 0.649
Cl -3.540 1.897 -0.064
C -4.996 2.923 0.053
C -4.655 4.399 0.060
Cl -3.820 4.889 1.557
H -5.544 2.631 0.952
H -5.618 2.689 -0.813
H -5.573 4.991 -0.001
H -4.019 4.670 -0.786
Cl 6.068 1.400 -1.496
C 7.206 0.857 -0.232
C 6.535 -0.003 0.822
Cl 5.401 0.929 1.832
H 7.669 1.743 0.207
H 7.984 0.280 -0.737
H 7.288 -0.419 1.495
H 5.985 -0.834 0.373
Cl -3.105 -5.491 -2.134
C -2.522 -4.054 -1.258
C -1.984 -2.992 -2.196
Cl -0.467 -3.496 -2.983
H -1.765 -4.376 -0.540
H -3.373 -3.658 -0.699
H -1.762 -2.082 -1.636
H -2.705 -2.743 -2.978
Cl 4.411 -4.216 3.838
C 4.988 -2.776 4.714
C 5.525 -1.711 3.777
Cl 7.044 -2.210 2.991
H 5.744 -3.099 5.433
H 4.135 -2.384 5.272
H 5.744 -0.800 4.338
H 4.804 -1.464 2.995
Cl -0.089 -4.434 1.407
C 0.487 -2.993 2.282
C 1.021 -1.927 1.343
Cl 2.539 -2.423 0.555
H 1.246 -3.314 3.000
H -0.365 -2.600 2.841
H 1.240 -1.015 1.905
H 0.299 -1.680 0.561
Cl 7.234 -9.048 1.030
C 6.729 -7.576 1.896
C 6.150 -6.532 0.962
Cl 7.384 -5.835 -0.117
H 7.593 -7.191 2.443
H 5.975 -7.881 2.625
H 5.734 -5.704 1.542
H 5.353 -6.946 0.341
Cl -5.551 -1.307 -2.809
C -6.153 -2.986 -2.788
C -7.177 -3.241 -3.876
Cl -8.704 -2.373 -3.580
H -6.562 -3.186 -1.795
H -5.286 -3.633 -2.934
H -7.420 -4.305 -3.913
H -6.803 -2.943 -4.858
Cl 2.683 5.969 -3.688
C 3.990 6.832 -4.538
C 5.258 6.006 -4.627
Cl 6.029 5.784 -3.037
H 4.162 7.779 -4.021
H 3.621 7.056 -5.541
H 5.986 6.512 -5.264
H 5.065 5.017 -5.050
Cl -7.640 4.807 -0.865
C -8.648 5.117 0.573
C -9.912 5.882 0.232
Cl -9.570 7.559 -0.261
H -8.039 5.653 1.305
H -8.906 4.143 0.995
H -10.560 5.936 1.109
H -10.469 5.399 -0.574
Cl 3.772 -7.073 5.536
C 2.770 -6.786 6.982
C 1.493 -6.035 6.657
Cl 1.806 -4.348 6.176
-- stop --

(Activity)
Next, print everything above character by character.

(Done)
Entry from the Open Molecules 2025 dataset: C23H23LaOP2 as an isolated structure (the ωB97M-V functional and the def2-TZVPD basis).

Cartesian coordinates (Å):
C 0.141 1.065 -3.778
C -0.743 2.179 -3.800
C 0.011 3.365 -3.596
C 1.379 3.009 -3.469
C 1.491 1.600 -3.578
La 1.540 -1.480 -1.270
P 0.743 -4.335 -2.084
H -0.103 0.008 -3.926
H -1.817 2.106 -3.940
H -0.391 4.374 -3.541
H 2.420 1.025 -3.601
H 2.198 3.716 -3.314
H 1.394 -5.242 -2.975
H -0.530 -4.335 -2.758
H 0.398 -5.301 -1.084
O -0.457 -1.723 -0.366
P -0.419 -0.647 0.778
C 1.170 0.175 0.625
C 2.380 -0.588 0.807
C 3.533 -0.118 0.126
C 3.551 1.197 -0.367
C 2.403 1.980 -0.373
C 1.197 1.469 0.073
C -1.784 0.479 0.525
C -2.483 0.940 1.658
C -3.500 1.890 1.518
C -3.838 2.382 0.255
C -3.165 1.899 -0.875
C -2.154 0.952 -0.748
C -0.357 -1.476 2.361
C -0.759 -2.817 2.438
C -0.695 -3.492 3.655
C -0.187 -2.859 4.795
C 0.292 -1.548 4.701
C 0.183 -0.842 3.501
H 2.376 -1.543 1.356
H 4.409 -0.764 0.038
H 4.479 1.629 -0.739
H 2.415 2.992 -0.775
H 0.269 2.052 0.050
H -2.222 0.552 2.647
H -4.030 2.234 2.405
H -4.631 3.124 0.151
H -3.452 2.267 -1.859
H -1.650 0.573 -1.645
H -1.095 -3.329 1.533
H -1.037 -4.524 3.709
H -0.159 -3.387 5.750
H 0.755 -1.072 5.563
H 0.531 0.193 3.445

Atoms 1-6, force components in eV/Å:
1.2719 0.7130 0.4207
0.4649 -0.2509 0.3727
0.1222 -0.7639 0.0088
-0.2411 -0.3904 0.0348
-1.2876 -0.2010 -0.0936
1.7897 0.8046 -2.7214

Summary:
- DFT total energy (Eh) = -1679.5981
- HOMO-LUMO gap (alpha / beta) (eV) = 4.5143 / 4.6109
- energy above the lowest of the compared OMol25 structures with the same formula, charge and spin (kcal/mol) = 0.0
- lowest unoccupied orbital energy (alpha / beta) (eV) = -0.489 / -0.688
- HOMO (alpha / beta) (eV) = -5.0 / -5.3

Löwdin population analysis, charges in e, atoms 1 to 4: -0.231 -0.220 -0.178 -0.212

=====

Entry from the Open Molecules 2025 dataset: a 12-piece molecular cluster, C26H51Cl22I2N2O overall (the ωB97M-V functional and the def2-TZVPD basis).

Cartesian coordinates (Å):
C 2.869 2.764 0.159
C 1.788 2.283 -0.965
I 2.849 2.381 -2.913
C 0.575 3.351 -1.072
I -0.247 3.498 -3.130
N -0.520 3.189 -0.039
N -0.541 1.954 0.621
C -1.211 1.041 -0.096
O -1.487 0.232 -1.020
H 2.309 3.084 1.125
H 3.384 3.726 -0.243
H 3.640 1.918 0.355
H 1.472 1.187 -0.862
H 1.049 4.400 -0.889
H -1.451 3.280 -0.527
H -0.490 3.979 0.649
Cl -3.540 1.897 -0.064
C -4.996 2.923 0.053
C -4.655 4.399 0.060
Cl -3.820 4.889 1.557
H -5.544 2.631 0.952
H -5.618 2.689 -0.813
H -5.573 4.991 -0.001
H -4.019 4.670 -0.786
Cl 6.068 1.400 -1.496
C 7.206 0.857 -0.232
C 6.535 -0.003 0.822
Cl 5.401 0.929 1.832
H 7.669 1.743 0.207
H 7.984 0.280 -0.737
H 7.288 -0.419 1.495
H 5.985 -0.834 0.373
Cl -3.105 -5.491 -2.134
C -2.522 -4.054 -1.258
C -1.984 -2.992 -2.196
Cl -0.467 -3.496 -2.983
H -1.765 -4.376 -0.540
H -3.373 -3.658 -0.699
H -1.762 -2.082 -1.636
H -2.705 -2.743 -2.978
Cl 4.411 -4.216 3.838
C 4.988 -2.776 4.714
C 5.525 -1.711 3.777
Cl 7.044 -2.210 2.991
H 5.744 -3.099 5.433
H 4.135 -2.384 5.272
H 5.744 -0.800 4.338
H 4.804 -1.464 2.995
Cl -0.089 -4.434 1.407
C 0.487 -2.993 2.282
C 1.021 -1.927 1.343
Cl 2.539 -2.423 0.555
H 1.246 -3.314 3.000
H -0.365 -2.600 2.841
H 1.240 -1.015 1.905
H 0.299 -1.680 0.561
Cl 7.234 -9.048 1.030
C 6.729 -7.576 1.896
C 6.150 -6.532 0.962
Cl 7.384 -5.835 -0.117
H 7.593 -7.191 2.443
H 5.975 -7.881 2.625
H 5.734 -5.704 1.542
H 5.353 -6.946 0.341
Cl -5.551 -1.307 -2.809
C -6.153 -2.986 -2.788
C -7.177 -3.241 -3.876
Cl -8.704 -2.373 -3.580
H -6.562 -3.186 -1.795
H -5.286 -3.633 -2.934
H -7.420 -4.305 -3.913
H -6.803 -2.943 -4.858
Cl 2.683 5.969 -3.688
C 3.990 6.832 -4.538
C 5.258 6.006 -4.627
Cl 6.029 5.784 -3.037
H 4.162 7.779 -4.021
H 3.621 7.056 -5.541
H 5.986 6.512 -5.264
H 5.065 5.017 -5.050
Cl -7.640 4.807 -0.865
C -8.648 5.117 0.573
C -9.912 5.882 0.232
Cl -9.570 7.559 -0.261
H -8.039 5.653 1.305
H -8.906 4.143 0.995
H -10.560 5.936 1.109
H -10.469 5.399 -0.574
Cl 3.772 -7.073 5.536
C 2.770 -6.786 6.982
C 1.493 -6.035 6.657
Cl 1.806 -4.348 6.176